Breakouts & Blemishes - How Too Much Phone Time Can Damage Your Skin

Whether it’s blurry vision, poor sleep or increased anxiety, doctors have linked plenty of our ills to excessive phone use. And now there’s our skin. There’s now mounting evidence to show that our phones are partially responsible for the things we hate to see in the mirror.
Of course, everyone is different in terms of their skin type and phone usage. But there are some habits which won’t help anyone who’s looking to keep their skin clear and vibrant (which we assume is everyone).
So take note if you’re worried about things like breakouts on cheeks or wonder about forehead acne causes and use your phone a lot. Learning how to protect your skin from your phone may be just as effective as buying another vial of cleanser or anti-blemish treatment.
Someone pasted calculated crystals at this point >
____________
# CuAs2S

CuAs2S after structural relaxation (PBE, the Alexandria database).

a = 5.049 Å, b = 7.110 Å, c = 5.608 Å
α = 90.00°, β = 90.04°, γ = 90.00°
Space group Pm (No. 6)
Unique sites:
Cu 0.000 0.000 0.000 [1 per cell]
Cu 0.002 0.000 0.500 [1 per cell]
As 0.112 0.267 0.249 [2 per cell]
As 0.892 0.267 0.749 [2 per cell]
S 0.208 0.500 0.748 [1 per cell]
S 0.796 0.500 0.248 [1 per cell]

E_form (uncorrected)	0.85	eV per formula unit
energy	-0.3064	Ry per atom
Fermi-level density of states	0.6	states/eV/f.u.

----------

Entry from Alexandria via LeMat-Bulk: a geometry-optimized La3CoBi structure (PBE-GGA).

Values from the calculation:
- Size of the total moment: 0.00 μB per formula unit
- Calculated volume: 30.46 Å³ per atom
- D(E_F): 0.68 states/eV per atom
- Formation energy: -0.49 eV/atom
- Relative energy among the computed polymorphs: 2 meV per atom

The structure in CIF format:
```
data_La3CoBi
_chemical_formula_sum 'La12 Co4 Bi4'
_symmetry_space_group_name_H-M 'P n m a'
_symmetry_Int_Tables_number 62
_cell_length_a 7.530
_cell_length_b 10.743
_cell_length_c 7.531
_cell_angle_alpha 90.00
_cell_angle_beta 90.00
_cell_angle_gamma 90.00
loop_
_symmetry_equiv_pos_as_xyz
'x,y,z'
'-x,-y,-z'
'-x+1/2,-y,z+1/2'
'x+1/2,y,-z+1/2'
'x+1/2,-y+1/2,-z+1/2'
'-x+1/2,y+1/2,z+1/2'
'-x,y+1/2,-z'
'x,-y+1/2,z'
loop_
_atom_site_label
_atom_site_type_symbol
_atom_site_fract_x
_atom_site_fract_y
_atom_site_fract_z
La1 La 0.000 0.250 0.001
La2 La 0.229 0.001 0.729
Co1 Co 0.000 0.000 0.000
Bi1 Bi 0.000 0.250 0.500
```

----------

LaPr2Zn2Si4Pd2 after structural relaxation, computed with GGA-PBE.

The total energy comes out at -114.9 eV for the cell shown. The value obtained for the offset from the most stable computed form is 0.000 eV per atom.

The structure belongs to space group Immm (No. 71); the cell edges are 4.210, 4.301 and 24.564 Å and the angles 90.00°, 90.00° and 90.00°. The distinct sites, in fractional coordinates, are La at (0.000, 0.000, 0.000), Pr at (0.000, 0.500, 0.352), Zn at (0.000, 0.500, 0.098), Si at (0.000, 0.000, 0.451), Si at (0.000, 0.500, 0.197) and Pd at (0.000, 0.000, 0.250).

=====

LiYCoSi after structural relaxation, computed with GGA-PBE.

The total energy comes out at -89.0 eV for the cell shown. The value obtained for the offset from the most stable computed form is 0.000 eV per atom.

The structure belongs to space group F-43m (No. 216); the cell edges are 6.208, 6.208 and 6.208 Å and the angles 90.00°, 90.00° and 90.00°. The distinct sites, in fractional coordinates, are Li at (0.000, 0.000, 0.000), Y at (0.250, 0.250, 0.750), Co at (0.000, 0.000, 0.500) and Si at (0.250, 0.250, 0.250).

=====

ScCuHgTe3 after structural relaxation, computed with GGA-PBE.

The total energy comes out at -90.5 eV for the cell shown.
____________
How Phones Cause Skin Problems
You might be thinking how on Earth do phones cause skin problems. Well, your skin is quite sensitive to virtually any surface, rise or fall in temperature and even light sources. Just remember the times your skin erupted in goosebumps in a cold breeze or the rash you got after touching poison ivy.
Whether you’re aware of it or not, your phone is a high-tech skin irritant. It can cause unpleasant skin reactions in one of three ways: 1) through direct contact with germs and contaminants, 2) irritation/allergies from phone materials, 3) light exposure.
Direct contact with germs and contaminants
We’ve covered this before but need to revisit the topic - germs on your phone. Your phone can be as dirty (if not more) than a toilet, meaning that massive populations of bacteria thrive on your phone screen. These include germs such as staphylococcus, streptococcus, Propionibacterium acnes (a cause of acne breakouts on the cheeks and forehead) and more.
These bacteria in combination with facial oils, toxins and makeup residue (careful ladies) clog the pores, which can lead to future breakouts. Even with all of the voice-assistant technology out there, the most common way to use your phone is to have the screen pressed against your cheeks. Remember too, that swiping your screen coats your fingers with contaminants. So if you may touch your face often, you’ll expose your cheeks, forehead and more to disease-causing germs.
Irritation & Allergies From Phone Materials
Here’s an overlooked fact about phones - they’re made with metals that many people have allergies to. Nickel, which many phones still contain, is a known skin irritant and linked to a frustrating condition known as allergic contact dermatitis (ACD). Other metals known to cause skin irritation, including cobalt and chromium, are built into phones as well.
Again, with a phone pressed against your cheeks and on your ears, there’s a risk of developing an itchy, blistering rash in any one of these areas. The risk is greater for those who speak on the phone for more than 30-60 mins per day, and especially for people with a history for the condition or other skin problems.
Exposure to Light
By now, you’ve most likely heard all about blue light emitted by phones, and how it disrupts your sleep. But that same light source can harm your skin as well. Recent studies show that overexposure to blue light increases pigment production in an uneven fashion, which leads to age spots, blemishes and hyperpigmentation. There’s also the heat of a phone - certain conditions such as melasma (‘Pregnancy Mask’) worsen when exposed to high temperatures (which excessive phone use creates).
The science behind this blue light phenomenon is still emerging and even if it does affect people, there is likely a wide range in how it does so. With that said, people in certain age groups and with certain skin types are more likely to notice the effects more than others.
How to Protect Your Skin From Your Phone
We’re sorry to make your phone seem like such an evil force against your precious skin - but it’s really not. For most people, phone use will cause no skin issues whatsoever, but it’s always better to prevent them instead of trying to find a cure.
== Someone pasted records of crystals at this point ==
=====
# Hf4SbRu2, optimized geometry, DFT PBE-GGA
# Electronic total energy   -8.22 eV per atom
# Theoretical density   9.811 g/cm³
# Formation energy from raw total energies   5.0 eV per formula unit
# Total moment   0.0 μB/cell
data_Hf4SbRu2
_chemical_formula_sum 'Hf8 Sb2 Ru4'
_symmetry_space_group_name_H-M 'I 4/m m m'
_symmetry_Int_Tables_number 139
_symmetry_space_group_name_Hall '-I 4 2'
_cell_length_a 5.1814
_cell_length_b 5.1814
_cell_length_c 13.0862
_cell_angle_alpha 90.00
_cell_angle_beta 90.00
_cell_angle_gamma 90.00
loop_
_atom_site_label
_atom_site_fract_x
_atom_site_fract_y
_atom_site_fract_z
_atom_site_occupancy
Hf1 0.0000 0.0000 0.2164 1
Hf2 0.0000 0.5000 0.0000 1
Sb1 0.0000 0.0000 0.0000 1
Ru1 0.0000 0.0000 0.3995 1

---

# NdPd5Au2, optimized geometry, DFT PBE-GGA
# Electronic total energy   -4.91 eV per atom
# Theoretical density   11.534 g/cm³
# Total moment   0.0 μB/cell
data_NdPd5Au2
_chemical_formula_sum 'Nd2 Pd10 Au4'
_symmetry_space_group_name_H-M 'I m m m'
_symmetry_Int_Tables_number 71
_symmetry_space_group_name_Hall '-I 2 2'
_cell_length_a 3.9327
_cell_length_b 7.8187
_cell_length_c 10.0226
_cell_angle_alpha 90.00
_cell_angle_beta 90.00
_cell_angle_gamma 90.00
loop_
_atom_site_label
_atom_site_fract_x
_atom_site_fract_y
_atom_site_fract_z
_atom_site_occupancy
Nd1 0.0000 0.0000 0.0000 1
Pd1 0.0000 0.1819 0.3614 1
Pd2 0.0000 0.5000 0.0000 1
Au1 0.0000 0.5000 0.2725 1

---

# Zr3In3TcPd2, optimized geometry, DFT PBE-GGA
# Electronic total energy   -6.51 eV per atom
# Theoretical density   8.599 g/cm³
# Total moment   0.0 μB/cell
data_Zr3In3TcPd2
_chemical_formula_sum 'Zr3 In3 Tc1 Pd2'
_symmetry_space_group_name_H-M 'P -6 2 m'
_symmetry_Int_Tables_number 189
_symmetry_space_group_name_Hall 'P -6 -2'
_cell_length_a 7.8470
_cell_length_b 7.8470
_cell_length_c 3.3642
_cell_angle_alpha 90.00
_cell_angle_beta 90.00
_cell_angle_gamma 120.00
loop_
_atom_site_label
_atom_site_fract_x
_atom_site_fract_y
_atom_site_fract_z
_atom_site_occupancy
Zr1 0.0000 0.7284 0.0000 1
In1 0.0000 0.3848 0.5000 1
Tc1 0.0000 0.0000 0.5000 1
Pd1 0.3333 0.6667 0.0000 1

----------

Record 1
Computed, not measured: crystalline BeTc2Pt at its relaxed geometry at the PBE level of DFT.

```
4
Lattice="2.792 0.000 0.000 0.000 2.792 0.000 0.000 0.000 6.750" Properties=species:S:1:pos:R:3 pbc="T T T"
Tc 0.000 0.000 0.105
Tc 1.396 1.396 1.848
Pt 1.396 1.396 4.773
Be 0.000 0.000 3.399
```

ΔH_f (0 K) (eV per atom): -0.252
Crystal system: tetragonal

Record 2
Computed, not measured: crystalline BeTc2Pt at its relaxed geometry at the PBE level of DFT.

```
4
Lattice="-1.682 -2.387 -3.886 -4.163 -2.437 0.596 1.608 4.491 0.931" Properties=species:S:1:pos:R:3 pbc="T T T"
Tc -0.001 -0.001 -0.001
Tc -2.921 -2.411 -1.644
Be -2.739 -0.179 -0.059
Pt -1.498 -0.154 -2.300
```

ΔH_f (0 K) (eV per atom): -0.117
Crystal system: orthorhombic

Record 3
Computed, not measured: crystalline Be4TcPt at its relaxed geometry at the PBE level of DFT.

```
6
=====
Doing so takes a few simple habits, some of which you’re already taking as well as others to think about.
Less Face Time For a More Radiant Shine
So the word is out - your phone can certainly aggravate your skin by means of misuse or pre-existing sensitivity. But don’t panic. Like anything else related to health, you can prevent troubling issues such as a breakout on the cheeks or forehead acne by taking the right precautions.
~~~
Record 1
Ba2Zn4Cu | PBE | relaxed

```
data_Ba2Zn4Cu
_chemical_formula_sum 'Ba4 Zn8 Cu2'
_symmetry_space_group_name_H-M 'I 4/m m m'
_symmetry_Int_Tables_number 139
_symmetry_space_group_name_Hall '-I 4 2'
_cell_length_a 4.804
_cell_length_b 4.804
_cell_length_c 17.262
_cell_angle_alpha 90.00
_cell_angle_beta 90.00
_cell_angle_gamma 90.00
loop_
_atom_site_label
_atom_site_type_symbol
_atom_site_fract_x
_atom_site_fract_y
_atom_site_fract_z
Ba1 Ba 0.000 0.000 0.152
Zn1 Zn 0.000 0.000 0.362
Zn2 Zn 0.000 0.500 0.000
Cu1 Cu 0.000 0.000 0.500
```

Output
Energy of formation from the pure elements in kJ/mol of atoms: -5.5
D(E_F) in states/eV/f.u.: 5.94

***

Record 2
Al2SbPb | PBE | relaxed

```
data_Al2SbPb
_chemical_formula_sum 'Al2 Sb1 Pb1'
_symmetry_space_group_name_H-M 'P 1 m 1'
_symmetry_Int_Tables_number 6
_cell_length_a 3.209
_cell_length_b 4.911
_cell_length_c 6.720
_cell_angle_alpha 90.00
_cell_angle_beta 90.12
_cell_angle_gamma 90.00
loop_
_symmetry_equiv_pos_as_xyz
'x,y,z'
'x,-y,z'
loop_
_atom_site_label
_atom_site_type_symbol
_atom_site_fract_x
_atom_site_fract_y
_atom_site_fract_z
Al1 Al 0.000 0.000 0.000
Al2 Al 0.499 0.500 0.856
Sb1 Sb 0.001 0.500 0.216
Pb1 Pb 0.498 0.000 0.607
```

Output
Excess energy over the best structure of this formula in the dataset in eV/atom: 0.0193
D(E_F) in states/eV/f.u.: 0.60

***

Record 3
Y2MgNbC | PBE | relaxed

```
data_Y2MgNbC
_chemical_formula_sum 'Y2 Mg1 Nb1 C1'
_symmetry_space_group_name_H-M 'P 4/m m m'
_symmetry_Int_Tables_number 123
_symmetry_space_group_name_Hall '-P 4 2'
_cell_length_a 5.024
_cell_length_b 5.024
_cell_length_c 4.318
_cell_angle_alpha 90.00
_cell_angle_beta 90.00
_cell_angle_gamma 90.00
loop_
_atom_site_label
_atom_site_type_symbol
_atom_site_fract_x
_atom_site_fract_y
_atom_site_fract_z
Y1 Y 0.000 0.500 0.000
Mg1 Mg 0.000 0.000 0.500
Nb1 Nb 0.500 0.500 0.500
C1 C 0.500 0.500 0.000
```

Output
Energy of formation from the pure elements in kJ/mol of atoms: -11.0
D(E_F) in states/eV/f.u.: 4.78

***

Record 4
YErB12 | PBE | relaxed

```
data_YErB12
_chemical_formula_sum 'Y1 Er1 B12'
_symmetry_space_group_name_H-M 'P 4/m m m'
_symmetry_Int_Tables_number 123
_symmetry_space_group_name_Hall '-P 4 2'
_cell_length_a 4.093
_cell_length_b 4.093
_cell_length_c 8.191
_cell_angle_alpha 90.00
_cell_angle_beta 90.00
_cell_angle_gamma 90.00
loop_
_atom_site_label
_atom_site_type_symbol
_atom_site_fract_x
_atom_site_fract_y
_atom_site_fract_z
Y1 Y 0.000 0.000 0.000
Er1 Er 0.000 0.000 0.500
B1 B 0.199 0.500 0.251
B2 B 0.500 0.500 0.100
B3 B 0.500 0.500 0.401
```

Output
Energy of formation from the pure elements in kJ/mol of atoms: -36.9
D(E_F) in states/eV/f.u.: 1.57

***
~~~
We can sum up those precautions with two words really - balance and hygiene. Put some distance between your face and your phone from time to time and make sure you’re keeping both of them clean. And of course, if you already have a skin condition, make sure you’re following your doctor’s or dermatologists recommendations.
Keep these tips in mind, and you’ll have at least one less obstacle in your quest for clearer and healthier skin.